Officer shooting in Ferguson: Black and blue lives both matter

By Adrianne Glenn / Columnist

Last week, Twitter user @DanDevaneGOP, a proud conservative according to his Twitter bio, tweeted, “show your support by using the hashtag #BlueLivesMatter for the hero Cops shot at the #FergusonShooting.” @DanDevaneGOP is just one of a tidal wave of Twitter users who have turned to the hashtag to voice their support of “blue lives” in Ferguson. 

After 20-year-old Jeffrey Williams allegedly shot two Ferguson police officers on Thursday, he was charged with first-degree assault in connection with the shooting three days later.

Some Twitter users have utilized the hashtag #BlueLivesMatter as a play on the existing #BlackLivesMatter to highlight the recent officer shootings. This shifts discussions of Ferguson to include the importance of police officers’ lives. While it is important to include these blue lives in the discourse, it is paramount that we do not forget the black lives affected in Ferguson. 

The recent U.S. Department of Justice’s official civil rights investigation on Ferguson revealed the disproportionate amount of negative attention black citizens receive from police authority in Ferguson. It is exactly the hard evidence we need to give credence to widespread racial discrimination and start mending it. 

According to the report, black residents made up 93 percent of arrests and 85 percent of traffic stops in Ferguson. They were also two times more likely to be stopped and have police search their vehicles despite being 26 percent less likely to be caught with contraband than white residents. 

According to the 2010 census, the demographics don’t correlate with the findings of the report. 29.3 percent of citizens were white, and 67.4 percent were black. If blacks are about 67 percent of the population, why do they account for 93 percent of arrests?

┌──
(1)
# ZnH6 (PBE, relaxed)
data_ZnH6
_space_group_name_H-M_alt 'P n a 21'
_space_group_IT_number 33
_space_group_name_Hall 'P 2c -2n'
_cell_length_a 10.7116
_cell_length_b 5.2556
_cell_length_c 8.8086
_cell_angle_alpha 90.00
_cell_angle_beta 90.00
_cell_angle_gamma 90.00
loop_
_atom_site_label
_atom_site_type_symbol
_atom_site_fract_x
_atom_site_fract_y
_atom_site_fract_z
_atom_site_occupancy
Zn1 Zn 0.0041 0.2114 0.0000 1
H1 H 0.9997 0.2646 0.8297 1
H2 H 0.0150 0.1049 0.1609 1
H3 H 0.0936 0.9917 0.9695 1
H4 H 0.0955 0.5933 0.5431 1
H5 H 0.1657 0.5148 0.9947 1
H6 H 0.1726 0.4748 0.0769 1
# energy relative to the lowest polymorph listed for this composition	2.04	eV/f.u.
# ΔH_f (0 K)	2.2	eV/f.u.
# uncorrected energy	-2.614	eV per atom
# M_tot	0.000	Bohr magnetons per cell

=====

(2)
# K2ZnCl4 (PBE, relaxed)
data_K2ZnCl4
_space_group_name_H-M_alt 'P n a 21'
_space_group_IT_number 33
_space_group_name_Hall 'P 2c -2n'
_cell_length_a 9.0479
_cell_length_b 12.6815
_cell_length_c 7.3978
_cell_angle_alpha 90.00
_cell_angle_beta 90.00
_cell_angle_gamma 90.00
loop_
_atom_site_label
_atom_site_type_symbol
_atom_site_fract_x
_atom_site_fract_y
_atom_site_fract_z
_atom_site_occupancy
K1 K 0.0048 0.1861 0.0000 1
K2 K 0.1324 0.4165 0.4954 1
Zn1 Zn 0.2180 0.0829 0.5049 1
Cl1 Cl 0.0294 0.9383 0.0195 1
Cl2 Cl 0.1613 0.4235 0.0156 1
Cl3 Cl 0.1989 0.6752 0.7615 1
Cl4 Cl 0.2044 0.6752 0.2534 1
# piezoelectric modulus e_max	0.3	C/m2
# ΔH_f (0 K)	-13.9	eV/f.u.
# uncorrected energy	-3.187	eV per atom

=====

(3)
# Ba (PBE, relaxed)
data_Ba
_space_group_name_H-M_alt 'P 6/m m m'
_space_group_IT_number 191
_space_group_name_Hall '-P 6 2'
_cell_length_a 7.3970
_cell_length_b 7.3970
_cell_length_c 4.0713
_cell_angle_alpha 90.00
_cell_angle_beta 90.00
_cell_angle_gamma 120.00
loop_
_atom_site_label
_atom_site_type_symbol
_atom_site_fract_x
_atom_site_fract_y
_atom_site_fract_z
_atom_site_occupancy
Ba1 Ba 0.3333 0.6667 0.0000 1
# energy relative to the lowest polymorph listed for this composition	0.73	eV/f.u.
# ΔH_f (0 K)	0.7	eV/f.u.
# uncorrected energy	-1.191	eV per atom
# M_tot	1.785	Bohr magnetons per cell

=====

(4)
# CuH16C4N10O2 (PBE, relaxed)
data_CuH16C4N10O2
_space_group_name_H-M_alt 'P b c a'
_space_group_IT_number 61
_space_group_name_Hall '-P 2ac 2ab'
_cell_length_a 7.1490
_cell_length_b 7.2418
_cell_length_c 22.5306
_cell_angle_alpha 90.00
_cell_angle_beta 90.00
_cell_angle_gamma 90.00
loop_
_atom_site_label
_atom_site_type_symbol
_atom_site_fract_x
_atom_site_fract_y
_atom_site_fract_z
_atom_site_occupancy
Cu1 Cu 0.0000 0.0000 0.0000 1
H1 H 0.0841 0.0386 0.3620 1
H2 H 0.0991 0.2009 0.7951 1
H3 H 0.1300 0.6621 0.9992 1
H4 H 0.1397 0.0460 0.2160 1
H5 H 0.1498 0.0722 0.4356 1
H6 H 0.1636 0.6788 0.5846 1
H7 H 0.1979 0.7185 0.3080 1
H8 H 0.2109 0.6478 0.6791 1
C1 C 0.0491 0.6882 0.9160 1
C2 C 0.0763 0.0404 0.1273 1
N1 N 0.0106 0.2153 0.1323 1
N2 N 0.0794 0.5055 0.9050 1
N3 N 0.0790 0.7417 0.4699 1
N4 N 0.1041 0.5522 0.5773 1
N5 N 0.1140 0.5436 0.6814 1
└──
The article goes on >

The report further indicated that the city depended on money from fines as part of its annual revenue.

“Even as officers have answered the call for greater revenue through code enforcement, the City continues to urge the police department to bring in more money,” the report said. In a March 2013 email, the finance director suggested that court fees were anticipated to rise about 7.5 percent, according to MSNBC. In the email, he wrote, “I did ask the Chief if he thought the PD could deliver 10 percent increase. He indicated they could try.’” 

The police force reciprocated by distributing outlandishly high fines for minor offences. For example, police fined people more than $500 for having high grass or weeds, according to the report.

Additionally, Ferguson police dogs only attacked black residents. The records show that the threat posed by the victim of the attack was never proportional to the severity of the attack and that the bites wounded many non-violent offenders. 

Officers faced no repercussions for harassing black residents — unreasonably accusing a minister of being a thief and arresting countless citizens when it was blatantly nonsensical, like when a man was helping his girlfriend who had been in a car accident. 

The officers’ shooting in Ferguson last week was devastating, a grotesque statement made with little consideration for human life. It does not make sense to blame the officers for widespread discrimination against black lives. These blue lives need consideration in the Ferguson discourse, as they are entangled with black lives by association. 

Despite this most recent tragedy, the national discussion must not stray from prevention and eradication of racism. Discriminatory attitudes are what often prompt violence. 

Ferguson is about far more than a single gunman. The shift in attention to this double assault is not unfounded, but the attention must be complemented through citizens’ renewed discussions about race and violence, as well.  Blue lives matter just the same as black lives. The focus should be joint — end the culture in which people target and harass groups, be it black or blue. 

If race relations don’t improve, violence will bubble up inside those affected. The victims of these crimes are not only officers, but everyday people. Whether or not average lives get the attention blue lives do should not matter. What matters is that the discrimination stops, ending the cycle of violence in Ferguson and nationwide.

On that note, Ferguson should no longer employ quota standards that seek to raise revenue through racial profiling. The Department of Justice’s report should fuel positive change.

The ramifications of the Civil Rights Report alongside Jeffrey Williams’ assault of two officers are further evidence of this vicious cycle. 

Until we realize that all black and blue lives matter the same, our country will remain bruised — black and blue.

Adrianne Glenn primarily writes about social and cultural issues for The Pitt News. 

Write to Adrianne at [email protected].